Home’s where the group is: Cooperative seeks to link home schoolers
Published 1:18 pm Thursday, September 13, 2012

LAUREN WOOD / THE NATCHEZ DEMOCRAT — Merisha Gore, left, helps Camila Reed, 3, and Caden Christie, 4, on an art project, while mother Danielle Saxon, right, holds her daughter Kara Christie, 2. The children are home schooled and attend programs coordinated by the Natchez Home School Cooperative on Friday mornings at Cornerstone Church in Vidalia. Gore is the organizer of the cooperative, which meets once a week for lessons and activities.
NATCHEZ — Who says home schoolers have to keep to themselves?
-- The article is interrupted by calculated crystals --
-- begin --
Entry 1:
Material: KSc3Be
Method: DFT, PBE
State: relaxed

abc: 4.8504 4.8504 4.8504
angles: 90.00 90.00 90.00
Element x y z (fractional)
1 Sc 0.0000 0.5000 0.0000
2 Sc 0.0000 0.0000 0.5000
3 Sc 0.5000 0.0000 0.0000
4 Be 0.5000 0.5000 0.5000
5 K 0.0000 0.0000 0.0000

crystal system: cubic
energy: -3.0460 eV per atom
total magnetic moment: 0.000 μB per cell
space group: No. 221
formation energy: 1.718 eV/atom
DOS at the Fermi energy: 5.5 states/eV per cell
energy relative to the lowest polymorph listed for this composition: 1187 meV per atom



Entry 2:
Material: Sc2TlCl
Method: DFT, PBE
State: relaxed

abc: 9.6745 9.6745 9.6745
angles: 21.06 21.06 21.06
Each line ends with the local moment (μB).
Element x y z (fractional)
1 Sc 0.9140 0.9140 0.9140  0.12
2 Sc 0.0860 0.0860 0.0860  0.12
3 Tl 0.5000 0.5000 0.5000  0.00
4 Cl 0.0000 0.0000 0.0000  -0.01

crystal system: trigonal
energy: -4.7755 eV per atom
total magnetic moment: 0.429 μB per cell
raw formation energy: -0.5565 eV/atom
space group: No. 166
DOS at the Fermi energy: 4.3 states/eV per cell
energy relative to the lowest polymorph listed for this composition: 134 meV per atom



Entry 3:
Material: Pr6Hg2Ir
Method: DFT, PBE
State: relaxed

abc: 7.2120 7.6289 10.8189
angles: 90.00 92.56 90.00
Element x y z (fractional)
1 Pr 0.8774 0.9862 0.2465
2 Pr 0.8120 0.6853 0.5551
3 Pr 0.8140 0.6992 0.9474
4 Pr 0.6860 0.1992 0.5526
5 Pr 0.6880 0.1853 0.9449
6 Pr 0.6226 0.4862 0.2535
7 Pr 0.1226 0.0138 0.7535
8 Pr 0.1880 0.3147 0.4449
9 Pr 0.1860 0.3008 0.0526
10 Pr 0.3140 0.8008 0.4474
11 Pr 0.3120 0.8147 0.0551
12 Pr 0.3774 0.5138 0.7465
13 Hg 0.9535 0.4069 0.7617
14 Hg 0.5465 0.9069 0.7383
15 Hg 0.4535 0.0931 0.2617
16 Hg 0.0465 0.5931 0.2383
17 Ir 0.5000 0.5000 0.0000
18 Ir 0.0000 0.0000 0.5000

crystal system: monoclinic
energy: -4.5608 eV per atom
total magnetic moment: 0.000 μB per cell
space group: No. 14
formation energy: -0.323 eV/atom
DOS at the Fermi energy: 18.7 states/eV per cell
energy relative to the lowest polymorph listed for this composition: 0 meV per atom



Entry 4:
Material: Dy6ZnAg2
Method: DFT, PBE
State: relaxed

abc: 8.5700 8.5700 8.5700
angles: 109.08 111.56 107.80
Element x y z (fractional)
1 Dy 0.5620 0.7368 0.8252
2 Dy 0.4380 0.2632 0.1748
3 Dy 0.0884 0.2632 0.8252
4 Dy 0.9116 0.7368 0.1748
5 Dy 0.8058 0.7486 0.5544
6 Dy 0.1942 0.2514 0.4456
7 Dy 0.1942 0.7486 0.9428
8 Dy 0.8058 0.2514 0.0572
9 Dy 0.7249 0.3977 0.6728
10 Dy 0.2751 0.6023 0.3272
11 Dy 0.2751 0.9479 0.6728
12 Dy 0.7249 0.0521 0.3272
13 Zn 0.0000 0.5000 0.5000
14 Zn 0.0000 0.0000 0.0000
15 Ag 0.5000 0.3633 0.8633
16 Ag 0.5000 0.6367 0.1367
17 Ag 0.6471 0.0000 0.6471
18 Ag 0.3529 0.0000 0.3529

crystal system: orthorhombic
energy: -4.0091 eV per atom
total magnetic moment: 0.000 μB per cell
space group: No. 71
formation energy: -0.166 eV/atom
DOS at the Fermi energy: 18.1 states/eV per cell



Entry 5:
Material: InGaPd2
Method: DFT, PBE
State: relaxed

abc: 4.0618 6.2616 5.7784
angles: 90.00 90.00 90.00
-- stop --
-- Here the article continues --
Merisha Gore started looking for some kind of home-school support group when she first arrived in the area in 2006, before she even had children.
Gore had been home schooled all the way through her high school graduation, and the idea of home schooling her own children felt natural to her. She began to look for local networks into which she could get plugged in when the time came.

LAUREN WOOD / THE NATCHEZ DEMOCRAT — Ianna Gore, 2, removes Goldfish crackers after spraying them with paint during an art project Friday morning.
“Ever since we came to Natchez I have always kind of had my feelers out for what is going on in the home school community, and I could never find anything going on. I could never find any other home-schoolers, and I could never find anything for home schoolers,” she said.
While having a connection to a network of other like-minded parents isn’t necessary for home schooling, it is important, Gore said.
That’s why, even though she wasn’t originally planning on starting something herself, Gore decided she had to start the forward motion to get a new home-school cooperative in operation.
“I have always thought it was helpful to have opportunities to interact with other people in different settings, and one of those settings was in a cooperative,” she said.
While participating in the cooperative is one way to combat common criticisms of home schoolers — that they are under-socialized or lack social skills — it has a broader purpose.
“One advantage of being in a co-op is that, as a home schooler, your children’s education kind of tends to be one-dimensional at times, focused on the things that you are good at, so it gives you an opportunity to focus on other people’s strengths,” Gore said.
“It is helpful not only for the kids, but for the parents to be able to see, ‘I am not the only person in the universe who is doing this.’”
The area once had a home-school support group, Gore said, but it quietly faded away in recent years.
“My kids aren’t school age yet, but I wanted to go ahead and start and get things going,” Gore said. “A lot of people have told me, ‘If only we had things like that, we would home school.’”
The way a home-school cooperative works is simple. The group gathers once a week, and each parent volunteers in some way; some may simply run crowd control, but others will teach classes for which their life experience may have qualified them. In the group Gore is helping form, a nurse will be teaching science. Other offerings will include music, Spanish, English and a pre-school class, with plans to expand the course offerings as the group grows.
Gore said she will have parents who are joining submit three suggestions for classes they are willing to teach.
Tentatively named the Natchez Home School Cooperative, the group actually meets at Cornerstone Church in Vidalia, where Danny Reed is pastor. Reed’s own children are a part of the co-op.

LAUREN WOOD / THE NATCHEZ DEMOCRAT — Isaac Reed, 6, braces himself for the paint as Merisha Gore sprays his hand during a cave painting art project Friday morning as part of the home-school co-operative. The group of students meet once a week on Fridays, and the lesson is followed by a potluck lunch.
Gore teaches the Reed children piano lessons, and when discussing the idea of the cooperative and a need for a location with Reed’s wife, Calley, the church — which has classroom space — was suggested as a possible meeting place.
Though the church location is a bit of a coincidence, Gore said the plan for the group is to be Christian in emphasis but “pointedly non-denominational.”
“We are eventually going to have a statement of faith, and have members sign something saying that they are not going to teach anything contrary to those points,” Gore said.
“Whatever your personal beliefs are do not exclude you as long as you don’t contradict these beliefs when you’re teaching — these are the parameters.”
Right now the cooperative is informal, with members bringing their own supplies, but as it grows a more formal membership and fee structure will be formed to accommodate what is needed, Gore said.
Those interested in learning more about the cooperative should contact Gore at 601-810-8901 or by e-mail at everinjoyfulsong@gmail.com.
-- Between two parts of the entry: records of crystals --
+++
Record 1
Crystalline Y2ScB2 at its relaxed geometry. Source: the Alexandria database, functional PBE.

Cell: 7.675 7.675 3.060 Å, 90.00 90.00 90.00°
Each line ends with the local moment (μB).
Fractional coordinates of all 10 atoms:
Y: 0.367 0.867 0.000  -0.02
Y: 0.867 0.633 0.000  -0.02
Y: 0.633 0.133 0.000  -0.02
Y: 0.133 0.367 0.000  -0.02
Sc: 0.000 0.000 0.000  0.06
Sc: 0.500 0.500 0.000  0.06
B: 0.170 0.670 0.500  0.00
B: 0.670 0.830 0.500  0.00
B: 0.830 0.330 0.500  0.00
B: 0.330 0.170 0.500  0.00

Values from the calculation:
N(E_F) = 4.4 states/eV per cell
E above lowest polymorph = 0.000 eV per atom

***

Record 2
Crystalline YScB at its relaxed geometry. Source: the Alexandria database, functional PBE.

Cell: 4.250 7.166 11.046 Å, 92.67 90.00 90.00°
Each line ends with the local moment (μB).
Fractional coordinates of all 18 atoms:
Y: 0.750 0.518 0.386  0.06
Y: 0.250 0.002 0.719  0.01
Y: 0.750 0.998 0.281  0.01
Y: 0.750 0.612 0.084  0.00
Y: 0.250 0.482 0.614  0.06
Y: 0.250 0.388 0.916  0.00
B: 0.250 0.757 0.884  0.00
B: 0.750 0.312 0.764  0.00
B: 0.750 0.798 0.562  -0.01
B: 0.750 0.243 0.116  0.00
B: 0.250 0.202 0.438  -0.01
B: 0.250 0.688 0.236  0.00
Sc: 0.250 0.930 0.075  0.00
Sc: 0.250 0.847 0.447  0.05
Sc: 0.750 0.676 0.778  0.01
Sc: 0.750 0.153 0.553  0.05
Sc: 0.250 0.324 0.222  0.01
Sc: 0.750 0.070 0.925  0.00

Values from the calculation:
N(E_F) = 14.4 states/eV per cell

***

Record 3
Crystalline Y2ScB2 at its relaxed geometry. Source: the Alexandria database, functional PBE.

Cell: 4.471 4.471 6.159 Å, 68.72 68.72 90.00°
Each line ends with the local moment (μB).
Fractional coordinates of all 5 atoms:
Y: 0.346 0.346 0.309  0.09
Y: 0.654 0.654 0.691  0.09
Sc: 0.000 0.000 0.000  0.30
B: 0.750 0.250 0.500  -0.01
B: 0.250 0.750 0.500  -0.01

Values from the calculation:
N(E_F) = 3.9 states/eV per cell
E above lowest polymorph = 0.037 eV per atom

***

Record 4
Crystalline ScZnB3 at its relaxed geometry. Source: the Alexandria database, functional PBE.

Cell: 4.381 4.381 4.381 Å, 90.00 90.00 90.00°
Fractional coordinates of all 5 atoms:
Sc: 0.000 0.000 0.000
Zn: 0.500 0.500 0.500
B: 0.000 0.500 0.000
B: 0.000 0.000 0.500
B: 0.500 0.000 0.000

Values from the calculation:
N(E_F) = 2.8 states/eV per cell
E above lowest polymorph = 0.833 eV per atom

***

Record 5
Crystalline Sc2ZnB at its relaxed geometry. Source: the Alexandria database, functional PBE.

Cell: 6.891 6.891 5.759 Å, 53.25 53.25 90.00°
Fractional coordinates of all 8 atoms:
Sc: 0.570 0.125 0.250
Sc: 0.180 0.625 0.250
Sc: 0.375 0.430 0.750
Sc: 0.875 0.820 0.750
Zn: 0.000 0.000 0.000
Zn: 0.750 0.250 0.500
B: 0.500 0.500 0.000
B: 0.250 0.750 0.500

Values from the calculation:
N(E_F) = 5.3 states/eV per cell

***

Record 6
Crystalline ScZn4B2 at its relaxed geometry. Source: the Alexandria database, functional PBE.

Cell: 5.140 5.140 6.711 Å, 67.49 67.49 90.00°
Each line ends with the local moment (μB).
Fractional coordinates of all 7 atoms:
Sc: 0.000 0.000 0.000  0.38
+++
-- So much for the records of crystals --
The Natchez Home School Cooperative meets from 10 a.m. to noon on Fridays and has lunch afterward.